Entries:
Entry 1:

Activity:
It remains to work out how many lines further above have the word "Entry" in them; a number is enough.

Result:
1